(Job)
Quote only the last part of the notes underneath, starting with the line that has "47.1470 0.589".
(Entries)
____________
83
Properties=species:S:1:pos:R:3:forces:R:3 method="wB97M-V/def2-TZVPD" orbital_gap_ev=8.18 homo_energy_ev=-7.78 e_lumo_ev=0.4 energy_ev=-64847.7944
N 37.9810 51.5510 49.8910 1.851 -1.352 4.007
H 38.5890 50.8220 49.4320 -1.088 0.872 0.644
H 37.1050 51.7740 49.5760 -3.433 0.133 -2.021
H 38.3500 52.4680 49.9020 1.320 1.457 -0.279
H 37.7630 51.4380 50.9580 1.125 -0.617 -2.170
O 36.1850 53.8030 50.3180 2.735 -4.434 1.501
H 35.6940 54.4720 49.9880 -2.281 3.443 -1.561
C 39.3720 48.5560 46.6740 -1.222 -2.108 -0.505
C 39.1260 48.9920 45.2160 2.043 0.213 1.912
O 38.3550 47.9490 44.6250 1.757 3.658 -1.614
C 37.9840 47.0340 45.4930 -0.096 0.797 1.733
O 37.2150 46.1920 45.1890 0.025 -0.962 0.675
O 38.5000 47.3540 46.7140 0.011 -0.107 0.769
F 40.4470 49.0890 44.6350 -2.283 -0.077 0.126
H 39.2490 49.2590 47.5040 -1.321 0.012 -0.502
H 40.3530 48.2150 46.8840 1.216 -0.644 -0.587
H 38.7120 50.0160 45.3940 -0.204 -0.770 -1.834
C 33.7730 51.9370 52.7600 0.012 3.759 -0.242
C 35.3260 51.6870 52.9390 -2.446 -0.730 -2.663
O 35.4310 50.5790 52.0210 2.312 -0.273 1.015
C 34.2990 50.1670 51.4990 -1.914 1.520 -0.510
O 34.1520 49.3240 50.6990 0.390 -1.710 -0.794
O 33.2750 50.9730 51.8830 0.776 -0.485 -0.551
F 35.6170 51.3260 54.1630 0.438 -0.909 1.874
H 33.6300 53.0910 52.2550 0.158 -3.289 1.740
H 33.2000 51.6840 53.6690 0.625 1.242 0.146
H 36.0750 52.3620 52.5840 -0.129 1.172 -0.235
C 33.6670 53.0100 48.6050 0.237 1.526 -3.030
C 32.7320 53.7860 47.5210 0.253 -0.465 0.491
O 31.9070 52.6650 46.9590 1.394 4.840 -1.531
C 32.2650 51.5620 47.4700 -0.403 -3.995 2.647
O 31.6760 50.5230 47.3000 1.157 0.638 -0.192
O 33.2210 51.7170 48.4450 -0.016 -2.085 -0.820
F 33.5520 54.4820 46.5970 -1.684 -1.501 1.040
H 33.5470 53.2600 49.6010 -0.769 1.017 1.968
H 34.7900 53.1590 48.4830 -1.326 -0.270 -0.474
H 31.8880 54.4200 47.8590 1.210 0.274 -0.047
C 41.8150 50.5360 48.7220 3.094 0.876 -1.997
O 40.9100 51.4940 48.2800 -0.932 2.143 0.724
C 41.0000 51.9980 46.9420 -0.915 1.557 0.345
C 39.5800 52.6140 46.5970 10.828 7.774 -1.432
O 38.6830 51.8870 46.9160 -11.120 -7.898 1.065
C 37.2920 52.3750 46.6170 0.783 -1.887 -0.538
C 36.3260 51.1730 46.4740 -1.620 -0.169 -3.369
O 36.6030 50.2180 47.3720 0.126 -3.366 2.971
C 35.6180 49.1130 47.5230 0.072 -1.838 -0.953
H 41.7890 49.8490 47.8530 0.194 -1.188 1.201
H 41.5750 50.1830 49.7900 0.445 0.448 -1.970
H 42.9650 50.9840 48.5270 -2.590 -1.081 1.395
H 41.0180 51.1450 46.3040 0.884 -0.814 -0.891
H 41.8120 52.8370 46.6610 -1.408 -2.109 1.070
H 39.8200 53.0430 45.5980 -1.003 -0.844 -0.759
H 39.4750 53.5230 47.1470 0.589 1.703 0.846
H 37.3130 53.1200 45.8080 -0.026 -0.648 -0.044
H 36.8680 52.8280 47.4570 0.179 1.339 1.820
H 36.3400 50.5910 45.4540 -0.175 1.772 0.995
H 35.2680 51.5020 46.7330 0.976 0.323 -1.073
H 35.7360 48.6920 48.5460 0.123 0.548 -0.749
H 35.7230 48.1360 46.7750 0.374 2.801 1.461
H 34.5410 49.3870 47.4110 0.943 0.554 0.068
C 40.9920 53.2720 51.9060 -0.156 -0.135 4.390
O 40.1300 52.1950 52.3680 1.871 -0.684 -0.603
C 40.8100 50.9770 52.8260 -0.772 0.032 -0.345
C 39.6210 50.1630 53.3440 3.608 -0.284 2.367
O 38.8940 49.7830 52.3560 -2.455 -2.341 -5.962
C 38.0900 48.6180 52.5060 3.716 -0.338 -2.993
C 37.5600 48.2830 51.1320 4.211 -2.396 -0.203
O 38.7320 48.2510 50.1920 -0.956 2.846 -0.780
C 39.8520 47.4400 50.3610 1.737 3.714 0.978
H 41.5670 53.5960 52.8810 -0.508 -0.359 -2.149
H 40.3250 54.0580 51.6780 -0.795 0.941 -0.244
H 41.6140 53.1370 51.0650 0.859 -0.964 -0.875
H 41.4250 51.0240 53.7260 0.504 1.182 -0.094
H 41.4540 50.5030 51.9970 -1.248 0.501 1.093
H 39.0040 50.7520 53.9180 -0.828 2.282 2.175
H 39.8820 49.3350 54.0360 0.617 -0.007 -0.399
H 37.4640 48.9550 53.1620 -4.914 0.958 3.812
H 38.6660 47.8150 52.9800 0.144 -0.132 -0.333
H 37.0050 49.0550 50.6790 -1.377 0.263 -0.206
H 37.2800 47.2160 51.1230 -1.232 0.713 -0.012
H 40.3290 47.5350 51.3320 0.100 0.271 0.481
H 40.6840 47.6070 49.6310 -1.220 0.074 0.119
H 39.4310 46.5660 50.3150 -1.154 -5.925 -0.528

75
____________
(Result)
H 39.4750 53.5230 47.1470 0.589 1.703 0.846
H 37.3130 53.1200 45.8080 -0.026 -0.648 -0.044
H 36.8680 52.8280 47.4570 0.179 1.339 1.820
H 36.3400 50.5910 45.4540 -0.175 1.772 0.995
H 35.2680 51.5020 46.7330 0.976 0.323 -1.073
H 35.7360 48.6920 48.5460 0.123 0.548 -0.749
H 35.7230 48.1360 46.7750 0.374 2.801 1.461
H 34.5410 49.3870 47.4110 0.943 0.554 0.068
C 40.9920 53.2720 51.9060 -0.156 -0.135 4.390
O 40.1300 52.1950 52.3680 1.871 -0.684 -0.603
C 40.8100 50.9770 52.8260 -0.772 0.032 -0.345
C 39.6210 50.1630 53.3440 3.608 -0.284 2.367
O 38.8940 49.7830 52.3560 -2.455 -2.341 -5.962
C 38.0900 48.6180 52.5060 3.716 -0.338 -2.993
C 37.5600 48.2830 51.1320 4.211 -2.396 -0.203
O 38.7320 48.2510 50.1920 -0.956 2.846 -0.780
C 39.8520 47.4400 50.3610 1.737 3.714 0.978
H 41.5670 53.5960 52.8810 -0.508 -0.359 -2.149
H 40.3250 54.0580 51.6780 -0.795 0.941 -0.244
H 41.6140 53.1370 51.0650 0.859 -0.964 -0.875
H 41.4250 51.0240 53.7260 0.504 1.182 -0.094
H 41.4540 50.5030 51.9970 -1.248 0.501 1.093
H 39.0040 50.7520 53.9180 -0.828 2.282 2.175
H 39.8820 49.3350 54.0360 0.617 -0.007 -0.399
H 37.4640 48.9550 53.1620 -4.914 0.958 3.812
H 38.6660 47.8150 52.9800 0.144 -0.132 -0.333
H 37.0050 49.0550 50.6790 -1.377 0.263 -0.206
H 37.2800 47.2160 51.1230 -1.232 0.713 -0.012
H 40.3290 47.5350 51.3320 0.100 0.271 0.481
H 40.6840 47.6070 49.6310 -1.220 0.074 0.119
H 39.4310 46.5660 50.3150 -1.154 -5.925 -0.528

75